Category: Allegations on Promised Messiah

### Inserted here: quantum chemistry results
-- begin --
Molecular formula: C7H10OS
Method: DFT, ωB97M-V/def2-TZVPD

ORCA input file:
```
! RIJCOSX wB97M-V def2-TZVPD def2/J DEFGRID3
* xyz 0 1
C 1.12 -1.32 0.48
C 0.54 -1.53 -0.69
C 1.28 0.81 -0.61
C -0.23 0.42 1.29
C 1.20 0.07 0.72
C 0.30 -0.12 -1.30
C -1.10 0.38 0.06
O -1.66 1.61 -0.40
S -2.28 -0.99 0.08
H 1.37 -2.03 1.22
H 0.34 -2.42 -1.09
H 0.80 1.92 -0.60
H 2.21 0.78 -1.08
H -0.58 -0.43 1.89
H -0.30 1.41 1.84
H 1.97 0.45 1.50
H 0.00 -0.14 -2.30
H -1.38 1.77 -1.29
H -3.60 -0.67 0.26
*
```

Largest force on an atom   5.662 eV/A
Total energy   -746.0246 Ha
Molar mass   142.223 g/mol
Energy relative to the best compared isomer or geometry (same formula, charge and spin)   292.9 kJ/mol

----------

Record 1
Below is a 2-piece molecular cluster, C5H10O2 overall, with properties calculated with ωB97M-V with the def2-TZVPD basis set.

ORCA input file:
```
! wB97M-V def2-TZVPD RIJCOSX def2/J DEFGRID3
* xyz 0 1
C 1.82098 -0.06304 -1.07000
C 0.90007 0.21741 0.09882
O 0.21763 1.44996 -0.06429
C -1.16051 1.28651 0.25893
C -1.49462 -0.14970 -0.13100
C -0.17058 -0.87233 0.01713
O 0.04642 -2.05686 -0.11392
H 2.57844 0.71175 -1.17888
H 1.22016 -0.11176 -1.98413
H 2.28709 -1.04097 -0.91565
H 1.45320 0.21926 1.05224
H -1.72076 2.03230 -0.31275
H -1.34072 1.47181 1.33104
H -2.33376 -0.60430 0.40043
H -1.67596 -0.23354 -1.20805
H -0.39162 -0.91622 2.10022
H -0.25664 -1.57717 1.78304
*
```

HOMO = -9.615 eV
strongest force on any atom = 1.21 eV/A
energy = -9440.1960 eV
lowest unoccupied orbital energy = 0.90 eV
HOMO-LUMO gap = 10.516 eV

Record 2
Below is a 2-piece molecular cluster, C5H15N2O2 overall, with properties calculated with ωB97M-V with the def2-TZVPD basis set.

ORCA input file:
```
! wB97M-V def2-TZVPD RIJCOSX def2/J DEFGRID3
* xyz -1 1
C -0.99765 0.34270 1.49582
N -2.30030 -0.32487 1.00602
C -2.05785 -1.68533 0.57741
C -0.14444 0.84565 0.25705
C -0.72292 2.25666 -0.13813
N 1.23595 0.97126 0.63075
C 2.31069 0.03046 0.10745
O 2.21627 -0.25000 -1.18589
H -0.38981 -0.23766 2.22024
H -1.48136 1.21460 2.01526
H -2.47399 0.21071 0.17229
H -1.49619 -2.15467 1.37599
H -1.34387 -1.87980 -0.34954
H -2.95854 -2.21446 0.33889
H -0.19213 0.19544 -0.64210
H -0.99585 2.98189 0.47939
H -1.89384 2.06026 -0.41732
H -0.18864 2.57054 -1.15296
H 1.69152 1.85874 0.82753
H 2.35006 -0.93731 0.78564
H 3.20152 0.71250 0.22574
H 0.94929 -1.90446 -2.97053
H 1.13859 -1.09054 -1.57884
O 0.43458 -1.83141 -2.13720
*
```

HOMO = -3.755 eV
strongest force on any atom = 7.97 eV/A
energy = -12501.6400 eV
lowest unoccupied orbital energy = 3.79 eV
HOMO-LUMO gap = 7.542 eV

Record 3
Below is a 2-piece molecular cluster, FO2S2 overall, with properties calculated with ωB97M-V with the def2-TZVPD basis set.

ORCA input file:
```
! wB97M-V def2-TZVPD RIJCOSX def2/J DEFGRID3
* xyz -1 1
O -0.58024 -0.53423 -1.23956
O -0.56710 -0.56018 1.23688
F -1.43472 1.56100 0.00884
S 2.75383 -0.58571 -0.01034
S -0.17178 0.11912 0.00418
*
```

HOMO (spin up / spin down) = -5.270 / -5.275 eV
-- stop --
Introduction The non-Ahmadis allege that the Promised Messiah’s (AS) last announcement Akhari Faisla, regarding the Sanaullah was not a Mubahila but a one-sided prayer. Since Ahmad (AS) died before Sanaullah, his prayers were not accepted, and thus, he is a false prophet. In this article, we will show how the . . . Read more
Introduction The non-Ahmadis allege that Promised Messiah (AS) lost the prayer duel to Sanuallah as he died before him. This is not only a lie but a claim that showcases their ignorance of history. In short, he not only deflected the challenge to Mubahila, he actively published announcement after announcement . . . Read more
Introduction Some anti-Ahmadis claim that the Promised Messiah (AS) did not believe Khilafat will be established after him or that he was clueless about it, or that he did not hint at all about it. They also claim that we Ahmadi Muslims are following innovations and contradicting the command of . . . Read more
Introduction Non-Ahmadis make allegations that Mirza Ghulam Ahmad (A.S) used a lot of vile language in his writings and that he cursed those who rejected him by calling them “Children of Prostitutes”. To prove this, they quote the following passage in which they claim that the term “dhurrīyyatu’l-baghāyā” means “children . . . Read more
Introduction Some Non-Ahmadis allege that the Promised Messiah (AS) had a dream hat he was going to go to Delhi, so they allege that Promised Messiah(AS) did not go to Delhi after the dream December 6, 1905I saw in my dream that I had gone to Delhi and had returned . . . Read more
Introduction Allah made a personal assurance to the Promised Messiah (AS) that he would die close to the age of 80, in the range of 74 years to 86 years. This promise was made to the Promised Messiah (AS) because He and his family did not know for certain his . . . Read more
### Records of molecules from another source follow
Entry 1:
Computed, not measured: a 2-piece molecular cluster, C3H10N2O2 overall, with ωB97M-V/def2-TZVPD.

Structure (XYZ):
```
17
Properties=species:S:1:pos:R:3:forces:R:3:lowdin_charge:R:1
C -0.6933 1.0541 -0.9176 -1.663 0.061 -1.143 -0.0546
C -0.5800 -0.4240 -0.5572 1.566 0.228 0.993 -0.3938
N -1.8427 -1.1109 -0.5749 -1.103 -0.157 -0.330 0.0304
C 0.0372 -0.4409 0.8621 -1.211 -0.287 -0.471 -0.5294
N -0.8831 -0.3999 1.8696 0.994 -0.194 -0.110 0.1693
O 1.2323 -0.4597 1.0444 0.461 0.048 0.002 0.0544
H -1.5950 1.4651 -0.4503 0.284 -0.007 0.371 0.0849
H 0.1600 1.6911 -0.7277 0.233 -0.228 0.212 0.0666
H -0.9453 1.1410 -1.9832 0.312 -0.015 -0.010 0.0841
H 0.1782 -0.9138 -1.1775 0.070 0.082 -0.078 0.1370
H -2.1905 -1.2582 -1.5160 0.008 0.459 -0.073 0.0843
H -1.8185 -2.0487 -0.2011 0.458 -0.069 0.291 0.0817
H -0.4810 -0.6588 2.7614 -0.572 0.231 0.065 0.1142
H -1.8554 -0.5106 1.6340 -0.007 -0.102 0.209 0.0892
O 2.4716 1.4951 -1.3033 -0.329 0.289 -0.739 -0.0493
H 3.1304 1.4974 -0.6205 0.414 -0.111 0.553 0.0314
H 1.9649 0.6927 -1.1673 0.083 -0.229 0.257 -0.0004
```
Positions in Å, forces in eV/Å.

Results
orbital gap: 10.7 eV
SMILES: C[C@H](N)C(N)=O.O
spin multiplicity: 1


Entry 2:
Computed, not measured: one molecule with the formula C3H3NO, with ωB97M-V/def2-TZVPD.

Structure (XYZ):
```
8
Properties=species:S:1:pos:R:3:forces:R:3:lowdin_charge:R:1
O -0.1860 1.1692 -0.6767 -0.036 -0.086 0.012 0.0668
C -0.7730 0.5566 0.3074 0.047 -0.087 0.050 -0.1256
C -0.0950 -0.6453 0.5050 -0.229 -0.040 0.264 -0.0101
C 0.9672 0.2336 -0.7591 0.875 -0.012 -0.681 -0.4111
N 1.9603 0.0988 -1.3771 -0.781 0.098 0.533 0.1268
H -1.5953 1.0646 0.8028 0.101 -0.062 -0.037 0.1414
H -0.2760 -1.3742 -0.2902 0.039 0.133 -0.002 0.1194
H -0.0023 -1.1033 1.4879 -0.015 0.057 -0.139 0.0924
```
Positions in Å, forces in eV/Å.

Results
orbital gap (alpha / beta): 7.9 / 7.9 eV
spin multiplicity: 1


Entry 3:
Computed, not measured: C42H35BaBrN11O3S2 as an isolated structure, with ωB97M-V/def2-TZVPD.

Structure (XYZ):
```
95
Properties=species:S:1:pos:R:3:forces:R:3:lowdin_charge:R:1
Ba 0.0166 -0.0699 0.0174 -0.400 -0.427 -0.223 1.8365
C -1.7219 -4.1617 -4.3428 0.016 -0.018 0.008 -0.0670
C -2.2657 -3.0164 -4.9138 0.002 0.045 0.004 -0.0668
C -1.8576 -1.7632 -4.4872 -0.013 -0.097 -0.059 -0.0286
C -0.9147 -1.6744 -3.4702 0.059 0.070 -0.013 -0.2743
C -0.3809 -2.8104 -2.8766 -0.043 0.002 -0.038 -0.0395
C -0.7742 -4.0595 -3.3324 0.000 0.002 0.004 -0.0805
N -0.4502 -0.4220 -2.9698 0.073 0.011 0.035 0.0048
N -0.4362 0.4860 -3.8088 -0.033 0.071 0.024 0.0976
C 0.0148 1.7540 -3.3196 -0.040 -0.040 -0.067 -0.3171
C 0.3106 2.6977 -4.2870 0.015 0.015 0.034 0.0077
C 0.7666 3.9387 -3.8674 -0.006 0.000 -0.013 -0.0353
C 0.8878 4.1809 -2.5107 0.012 0.008 0.008 -0.0306
C 0.5476 3.1718 -1.6192 -0.009 -0.004 -0.009 -0.1125
N 0.1185 1.9737 -2.0117 -0.027 0.098 0.027 0.0059
H -2.0378 -5.1363 -4.6908 0.007 -0.003 0.003 0.1116
H -3.0053 -3.1030 -5.6985 0.000 0.000 0.002 0.1116
Introduction In this article, we will refute another allegation of the Anti-Ahmadis who claim the Promised Messiah (A.S) died of cholera. They claim that since he died of cholera, he is a false prophet. This is not only baseless but also contradictory to the primary sources that describe the death . . . Read more
Introduction To distract you from discussing the true understanding of Islamic concepts, opponents of Ahmadiyya attack the Promised Messiah’s (A.S) character by alleging, among other vile things, that he A.S would allow non-mahmram women to touch him or he A.S would sleep while they were in the room. It should . . . Read more
Introduction One of the allegations that the non-Ahmadis started making recently is that the Promised Messiah (A.S) believed that the Arsh (Throne) of Allah is uncreated. They use Da’if ahadith to prove that he contradicted the Prophet (S.A.W) and thus, he is a false prophet. To prove he denied Arsh . . . Read more
### Quantum chemistry results, kept here for reference
'''
[1]
Computed, not measured: C4H3I2NS2 as an isolated structure, with the ωB97M-V functional and the def2-TZVPD basis.

## Properties
- LUMO energy: -0.5 eV
- Orbital gap: 8.3 eV
- E_HOMO: -8.8 eV

Geometry as XYZ:
```
12
Properties=species:S:1:pos:R:3:forces:R:3
C -2.201220 0.334003 0.713870 -1.2890 -0.9951 -0.3863
C -0.926474 0.811538 0.716579 0.0017 -1.1005 0.0938
C -3.166470 1.397974 0.677601 -1.8611 -1.4160 1.7342
C 0.321350 0.032236 0.753928 -0.3507 -2.8343 0.7169
N -2.665743 2.554779 0.811536 1.0408 2.2911 -0.6639
S -0.998855 2.475795 0.746376 -0.7094 1.2418 0.2505
S -5.055554 1.311938 1.055795 2.4258 -0.0276 -0.5123
I -2.854141 -1.664634 0.809225 0.5228 0.4737 -0.0468
I -5.826633 0.375728 -0.959524 -0.1835 -0.1036 -0.2902
H 0.610858 -0.395364 1.718205 -0.0852 1.1684 0.7682
H 0.127711 -0.993809 0.394579 -0.1499 0.5240 -1.0339
H 1.201412 0.396511 0.297851 0.6377 0.7781 -0.6302
```
Positions in Å, forces in eV/Å.

Results of the Mulliken charge analysis, in e, for atoms 1 through 5: atom 1 (C): -0.630, atom 2 (C): 1.074, atom 3 (C): 0.108, atom 4 (C): -1.230, atom 5 (N): -0.427

***

[2]
Computed, not measured: C18H20MoN12O2PS3 as an isolated structure, with the ωB97M-V functional and the def2-TZVPD basis.

## Properties
- LUMO energy (spin up / spin down): -7.7 / -9.0 eV
- Orbital gap (spin up / spin down): 6.8 / 5.4 eV
- 2S+1: 2
- Charge: +2
- E_HOMO (spin up / spin down): -14.4 / -14.4 eV

Geometry as XYZ:
```
57
Properties=species:S:1:pos:R:3:forces:R:3
Mo 0.556521 0.396495 0.012961 -0.9175 0.2503 0.2883
N -1.125402 -1.671328 -2.384179 -0.0214 0.0751 0.0625
C -0.194229 -2.228468 -1.529593 -0.2571 0.1306 -0.2353
N 0.070814 -3.498898 -1.494956 0.3073 -0.1165 0.2436
N 1.069738 -3.608589 -0.571795 -0.1315 0.0246 -0.1319
N 1.370820 -2.480528 -0.078732 -0.1459 0.0470 -0.0961
N 0.571873 -1.516771 -0.661003 0.1386 -0.2671 0.1450
C -1.184372 -0.336701 -2.549927 -0.0910 -0.3195 -0.1791
N -1.699425 0.336676 -3.597224 0.1561 0.3623 0.0832
N -1.373452 1.599010 -3.401647 -0.0975 -0.2425 -0.0638
N -0.753697 1.687165 -2.274641 0.0464 0.0936 0.0466
N -0.621752 0.488452 -1.680525 0.0724 0.2619 0.2214
H -1.598292 -2.280532 -3.038479 0.0106 -0.0234 0.0002
N 4.653049 1.453253 -0.601811 -0.0341 0.0758 -0.1108
C 5.555178 0.499554 -0.148331 0.0085 -0.1176 0.1379
C 6.910778 0.611946 -0.423721 -0.0404 0.0225 0.0095
C 7.771369 -0.352775 0.058288 0.0334 -0.1148 0.0617
C 7.302606 -1.439755 0.820177 0.1082 0.0888 -0.0814
C 5.968251 -1.560480 1.102006 -0.1135 0.0826 -0.0653
C 5.074830 -0.583651 0.614216 0.4616 0.1043 -0.0964
S 3.447266 -0.738189 1.035996 -0.2987 -0.3457 0.2509
N 2.669708 0.409800 0.123110 0.5823 0.2134 -0.1588
C 3.320356 1.358261 -0.552433 -0.0475 -0.1459 0.0688
C 2.455895 2.276970 -1.271566 -0.1310 -0.0564 0.1154
C 2.874526 3.155967 -2.199312 -0.0469 0.1730 -0.1692
C 1.887400 3.914907 -2.944535 0.1648 -0.0499 0.0316
C 0.586990 3.721723 -2.733420 -0.0975 -0.0189 -0.0029
C 0.096493 2.784496 -1.677826 0.0243 -0.1280 -0.0272
'''
Introduction Another allegation that the Anti-Ahmadis use is that Promised Messiah (A.S) claimed to be God (Nauthubillah). It is not only a lie but shows the ignorance of such people regarding the Quran, Ahadith, and Islamic dreams. His dream is as follows: In a vision I saw that I myself . . . Read more